Chapter 2
Unfortunately, Princess Charlotte wouldn't even let me open the window to see outside, making me extremely sad. As the carriage moved forward I felt more anxious for when we would get off the ship.
I wiggled my fingers endlessly rubbing them together, my heart was anxious, it was as if my spirit was crying out for adventure, something to show me what life was like outside the palaces, anything at all, that was what I was looking forward to, a taste of the world.
We got off at the landing and I looked out at the vast sea in front of me before the stablesman threw me the princess's bags so I could take a percentage, there was jewelry, dresses and gifts for the king and queen of Olympus of which it took three carriages to make it all tragic.
When we climbed in and I could finally breathe I could look out to sea, standing near the edge I felt a mixture of ecstasy and fascination at the sight, the smell of the sea air, the rocking of the boat was better than anything I had ever heard about it.
When it got dark we had to take shelter in the bowels of the ship as the waves were a little rough, we received the news that we arrived in the morning in Olimper and I prepared Charlotte's bed so that she would sleep early, but the woman seemed too restless to relax, in another of her outbursts she shouted at a sailor giving orders, but the man who smells of drink did not seem to like the tone of voice of the princess.
"Come on, you have to obey me!" She shouted, he twisted his mouth with since.
"The princess doesn't know the high seas, does she?" He asked with a smile causing another sailor to crack a smile as well.
"You work for the crown!" She vociferated angrily, the princess' pale face had taken on a strong shade of red, almost like ripe tomatoes.
"No, we work for ourselves. We are mercenaries."
Charlotte alternated her gaze between them and it seemed that for the first time I saw the fear in her eyes, I pulled the princess in.
"Don't mess with her!" I said with a harsh tone of voice stepping in front.
He made a surprised expression which I took as mockery.
"This girl has more courage than the princess" The man with the thick beard left the wall where he was leaning and approached, turned my chin a little and lowered his hand "You are prettier than her too!"
" What did you say?" Charlotte's tone of voice became sharp.
" No one wants to mess with you, but I think you should sleep." He said already fed up.
I pulled the princess' arm and took her to her room and closed the door quickly, when I turned around I just felt the hard slap on my face. I put my hand on my face and looked at her in shock, I raised my hand and for a moment of lucidity when I saw her lower it I stopped.
I took a deep breath and then I exploded.
"I hate you! You are cruel, a disgusting person and nobody likes you, people only tolerate you so they don't die or get punished. No one would miss you if I threw you into the sea today and I'm sure the prince of Olimper will hate this wedding more than you because you are a spoiled and unbearable woman and you know what, you can tie me to a vine that I don't care anymore!" I huffed nervously "Just don't ever touch my face again!"
She looked at me in shock.
"What did you say?"
"I'm not going to say it again" I said still affronted, but afraid my voice would fail me I started to become aware of the things I had said.
"No one has ever talked to me like this before, you'll die when we get to dry land! Do you think you are useful? That someone will take care of you if you die?"
I looked at her with a mixture of dread and anger.
"Then I'll leave you alone with the sailors" I said angrily.
"You will die!" She said cheerfully.
" You shrew!" I said with disdain.
"Shut up and listen to me!" She walked hurriedly towards me and continued speaking "You're going to die and so am I!"
I frowned without understanding, the princess was without any notion or logic which made me worried about her mental sanity.
"Listen to me carefully, you will marry Prince Stephen in my place" She took my hands and I pulled them away.
"I don't understand!"
"But you will soon, it's a very simple plan. No one knows my face outside the castle and yours even less, we will arrive in Olimper and you will pretend to be me, you will marry Stephen and then you will die a week after your wedding. That will be enough time for me to disappear with George and marry him."
"No, that's crazy!" I said incredulously.
"I know, but there's no other way!"
"For you who are destined to marry the heir of Olimper."
"And for you too, you are the daughter of a cook and a servant who are not even alive anymore and worse, you are my servant which makes you bound to me and the castle walls. You are not even allowed to be anything else in life other than my servant because you know too much about royalty, you will never set foot outside the castle and you know it, are you going to die with this dream while I am giving it to you with kissed hands? Think about it, if you pretend to be me for a week I will give you the support to get you out of the castle, I will give you so much money that you will not worry about working for the rest of your life, you will be able to enjoy, get married, rebuild your life from scratch."
"Travel the world" I said and suddenly my thoughts went far away, to the hundreds of places and stories I had heard about.
"That's it" She shook her head excitedly and continued "You'll just have to pretend to be me for a week and then, I'll fake your death and get you out of there."
"What about your parents? Will you never see them again?"
The cheer seemed to have gone out of her face a little.
**Here the article breaks off for data records:**
********
{
  "formula": "C24H35O4Si",
  "method": "ωB97M-V/def2-TZVPD",
  "species": ["C", "C", "C", "C", "O", "C", "C", "O", "Si", "C", "C", "C", "H", "H", "H", "H", "H", "H", "H", "H", "H", "H", "H", "H", "H", "H", "H", "H", "H", "H", "H", "H", "C", "O", "C", "C", "C", "C", "C", "C", "C", "C", "C", "O", "C", "C", "C", "C", "C", "H", "H", "H", "H", "H", "H", "H", "H", "H", "H", "H", "H", "H", "H", "H"],
  "coordinates": [[-4.433, 4.261, 2.021], [-3.304, 3.482, 2.751], [-2.104, 3.231, 1.827], [-0.959, 2.410, 2.394], [-0.490, 1.521, 1.217], [0.622, 0.914, 1.387], [0.764, -0.300, 0.418], [1.532, 1.449, 2.112], [3.196, 2.003, 1.937], [3.613, 3.005, 3.432], [4.280, 0.468, 1.954], [3.280, 3.139, 0.473], [-5.308, 4.346, 2.681], [-4.085, 5.271, 1.765], [-4.733, 3.751, 1.097], [-2.978, 4.041, 3.640], [-3.699, 2.531, 3.128], [-2.474, 2.839, 0.872], [-1.701, 4.201, 1.514], [-0.142, 3.071, 2.735], [-1.286, 1.725, 3.195], [1.789, -0.671, 0.593], [0.593, 0.155, -0.560], [4.661, 3.372, 3.407], [2.969, 3.878, 3.492], [3.507, 2.420, 4.348], [5.336, 0.731, 1.768], [4.216, 0.012, 2.957], [3.974, -0.282, 1.191], [4.295, 3.277, 0.060], [2.649, 2.781, -0.364], [2.929, 4.115, 0.780], [3.596, -4.669, -4.734], [3.770, -4.579, -3.313], [2.879, -3.854, -2.582], [2.948, -3.987, -1.171], [2.081, -3.274, -0.369], [1.100, -2.458, -0.918], [0.135, -1.639, 0.025], [-1.313, -1.618, -0.400], [-2.136, -0.971, 0.505], [-3.426, -0.698, 0.208], [-3.968, -1.086, -1.062], [-5.189, -0.559, -1.422], [-5.615, -0.845, -2.783], [-3.159, -1.917, -1.917], [-1.865, -2.163, -1.576], [1.017, -2.322, -2.325], [1.881, -3.008, -3.180], [4.391, -5.331, -5.052], [2.615, -5.102, -4.987], [3.698, -3.679, -5.198], [3.666, -4.669, -0.758], [2.118, -3.407, 0.687], [0.256, -1.946, 1.093], [-1.776, -0.735, 1.522], [-4.078, -0.133, 0.890], [-6.582, -0.357, -2.871], [-4.908, -0.419, -3.505], [-5.729, -1.922, -2.944], [-3.640, -2.274, -2.831], [-1.308, -2.841, -2.193], [0.223, -1.745, -2.805], [1.810, -2.942, -4.254]],
********
"No, that's a price I'll have to pay for love," she said firmly, "Just like disowning my name."
I looked at her in disbelief and I could have gone crazy, but I would die hoping that maybe, this plan would work and at the end of it all I would be free because living my whole life as Charlotte's servant seemed like death to me.
"It seems that fate looked at us both tonight and laughed, I must be crazy, but I don't want to die without even trying!"